Awaken Me Page 7
I SAT ACROSS FROM IVA, watching her drink what looked like a juice box, but really it was blood. I was happy I couldn't see or smell it. I held the disgust from my face.
The food court was busy. It was lunchtime so the school kids and adults were out getting their doses of blood or food, and the buzz of gossip and laughter filled the room.
I was admiring a little girl who was adorable. She had brown hair pulled up in pigtails and a navy blue uniform; she was so lucky, no complications. All she had to worry about was homework. Her little girlfriends were giggling next to her. Oh, what I would give to be a kid again.
My life now held so many complications. One of them was the night of the masquerade ball. Alec’s kiss, had it been a dream or reality? I could almost feel it still. Did he kiss me because of the way I looked or was it something more? In fact, it had been consuming my every thought. Why did he make things so complicated? He should have just let me kiss Anthony! I don’t think Anthony’s kiss would have been like Alec’s. I was literally driving myself crazy! The constant reminder of Derek also lingered in my mind. I hadn’t had a moment to really grasp the reality of the loss of us.
Iva glanced at me. I’m sure she saw my readable expression. She set her "juice box" down and was staring at me. I peeked up at her through the tangles of my hair.
"Yes, Iva?" I asked.
She shifted in her chair and leaned closer to me.
“I know there is something wrong and you’re just not telling me." She was very observant with me. But, then again, my mood today was easy to get a read on.
“No, not really," I lied. I didn't want to talk about it.
"Aimee, I'm not dumb. I can sense it, as well as see it written all over your face." Iva was that good; I knew I couldn’t pass this by her.
"Fine. Alec kissed me. Happy now?" I was a bit surprised that I’d told her so quickly; maybe it was because I was thinking about it so much and wanted to burden someone else with the information. Iva however, didn't look shocked. She sat there, calm, while my emotions were in turmoil.
“You knew about it, didn't you?" I asked.
“Yes, I did," Iva said, not denying it.
My face blushed. “He told you?"
"Yes, well, actually, I sensed something happened when I saw him later that night. I can't believe you kept it to yourself for three days."
“What did he say, exactly?"
“I knew it would happen. How do you feel about it?" Iva asked, very slyly avoiding my question; she was loyal to Alec just as much as she was to me. This was a losing battle.
“What are you, a shrink?" I asked, laughing. “I honestly don't know how I feel. He caught me off guard. And even though Derek and I are over, I still have mixed feelings. I'm trying to figure things out still."
She nodded in understanding. “Makes sense. I told him he rushed things."
“Is that why he's been avoiding me?" I asked.
“He’s not exactly avoiding you. He just needs to think straight."
Wonderful, now I had to imagine what he told her. Iva was just that good. I can’t believe she wouldn’t spill anything about what he said. Not even a breadcrumb of information. Instead, I think she liked having a hold on me.
Iva took a sip of the juice box as she looked at me thoughtfully. I began playing with a strand of my hair as I eyed the juice box.
“How old are you and Alec?”
“Same age as you, 23,” she said, taking another sip of blood.
“And what is it like being a vampire? Did it hurt when you were awakened?"
She smiled and tilted her head. Her grey eyes shined with amusement.
“All your senses are enhanced; we are fast and strong. We also have night vision. It's pretty cool. We used to talk about it all the time when we were in school.” She looked sad at bringing up that memory. “It did hurt a little. But I think it was worth it.”
“How does it work, being awakened?” I asked.
“Well, the elders awaken us. They are the oldest in our community. It's a whole ceremony and we drink their blood and they bite us.”
I cringed at the thought of drinking blood; I most likely would have vomited right before and embarrassed my family. It took every ounce not to scrunch my nose up in disgust.
“Do you have to drink their blood? And do you struggle with wanting to kill anyone?”
Her smile grew, and she rolled her eyes. “We don’t have to drink their blood, we already have the genes of our ancestors, but it’s a tradition that has been passed down.…And I don't struggle with cravings down here, but when Alec called me to tell me he found you and that you were getting services at the hotel, that made things a bit harder. But that was simply because I'm not around humans enough. We have a subway under here, and that's usually how we travel. Only occasionally do we use the cars."
“Subways?” I asked.
**Between two parts of the text: calculated crystals:**
+++
(1)
# MgZn2Bi3O8

A relaxed structure of MgZn2Bi3O8 (PBE-GGA, the Materials Project).

Unit cell a=5.386 b=6.502 c=6.623 alpha=100.43 beta=111.98 gamma=90.88
Space group P-1 (No. 2)
One atom of each set of equivalent atoms:
Mg (0.000, 0.000, 0.000)
Zn (0.384, 0.743, 0.838)
Bi (0.000, 0.500, 0.000)
Bi (0.285, 0.186, 0.566)
O (0.134, 0.954, 0.712)
O (0.171, 0.454, 0.731)
O (0.267, 0.267, 0.179)
O (0.298, 0.792, 0.120)

Output
Its energy above the most stable polymorph in this dataset is 0 meV/atom. As for the crystal system: triclinic. As for the volume: 210.7 Å³/f.u. The formation energy is -1.800 eV/atom.

***

(2)
# Ce5Si3

A relaxed structure of Ce5Si3 (PBE-GGA, the Materials Project).

Unit cell a=7.744 b=7.744 c=12.904 alpha=90.00 beta=90.00 gamma=90.00
Space group I4/mcm (No. 140)
One atom of each set of equivalent atoms:
Ce (0.000, 0.000, 0.000)
Ce (0.181, 0.319, 0.154)
Si (0.000, 0.000, 0.250)
Si (0.114, 0.386, 0.500)

Output
Its energy above the most stable polymorph in this dataset is 0 meV/atom. As for the crystal system: tetragonal. As for the volume: 193.5 Å³/f.u. The formation energy is -0.530 eV/atom.

----------

(1)
The following is a DFT calculation (PBE-GGA) of a relaxed VIr crystal.

Output
The space group is No. 65. As for the formation energy: -0.5180 eV/atom. The value obtained for the volume is 223 Å³ per cell.

Cell and atoms, written as POSCAR:
```
VIr
1.0
7.140 0.000 0.000
0.000 11.225 0.000
0.000 0.000 2.785
V Ir
8 8
direct
0.000 0.000 0.000 V
0.000 0.227 0.000 V
0.000 0.500 0.000 V
0.000 0.773 0.000 V
0.500 0.000 0.000 V
0.500 0.273 0.000 V
0.500 0.500 0.000 V
0.500 0.727 0.000 V
0.230 0.373 0.500 Ir
0.230 0.627 0.500 Ir
0.270 0.127 0.500 Ir
0.270 0.873 0.500 Ir
0.730 0.127 0.500 Ir
0.730 0.873 0.500 Ir
0.770 0.373 0.500 Ir
0.770 0.627 0.500 Ir
```

(2)
The following is a DFT calculation (PBE-GGA) of a relaxed MgSi2 crystal.

Output
The space group is No. 8. The value obtained for the energy above the most stable polymorph in this dataset is 0.1425 eV per atom. As for the formation energy: 0.2201 eV/atom. The value obtained for the volume is 206 Å³ per cell.

Cell and atoms, written as POSCAR:
```
MgSi2
1.0
5.033 -1.784 0.000
5.033 1.784 0.000
-2.862 0.000 11.448
Mg Si
4 8
direct
0.000 0.000 0.000 Mg
0.063 0.063 0.449 Mg
0.334 0.334 0.809 Mg
0.636 0.636 0.225 Mg
0.044 0.044 0.763 Si
0.295 0.295 0.055 Si
0.349 0.349 0.334 Si
0.419 0.419 0.605 Si
0.664 0.664 0.906 Si
0.667 0.667 0.648 Si
0.789 0.789 0.481 Si
0.908 0.908 0.200 Si
```

(3)
The following is a DFT calculation (PBE-GGA) of a relaxed LuIn3 crystal.

Output
The space group is No. 221. As for the formation energy: -0.3253 eV/atom. The value obtained for the volume is 98 Å³ per cell.

Cell and atoms, written as POSCAR:
```
LuIn3
1.0
4.611 0.000 0.000
0.000 4.611 0.000
0.000 0.000 4.611
Lu In
1 3
direct
0.000 0.000 0.000 Lu
0.000 0.500 0.500 In
0.500 0.000 0.500 In
0.500 0.500 0.000 In
```

(4)
+++
“Yes, we have many communities like this all over Europe. Also in America, but we have special travels to get there.”
“That’s different.” That interested me, traveling all over, by subways.
“Was Alec looking for me for long?" I asked.
“Yes, for six years. He never gave up on you. Neither did I. But he was braver and went looking for you after he awakened." Studying her juice box, I could tell she was in thought.
I didn't expect Alec to be the rescuer type; he was mysterious, sexy, Greek god like, with his wavy brown hair, ice grey eyes, and a body like a tennis player. Not to mention how perfect his features were. But who would have guessed a rescuer, too? I smiled at the thought of having him save me, a sexy Italian rescuer for that matter. The more I thought about it, the more I realized he was a protector. The masquerade ball had proved that.
But, I couldn’t help but wonder if he would ever tell me this.
“Do you know how long he will be staying away from me?" I asked, snapping myself out of my own head.
“I do not. Please don't tell him I told you anything when you do see him. He would be mad at me. Or embarrassed. ”Iva said sternly.
I was about to laugh when I heard my name being called. I glanced around; it was a man’s voice. I recognized it but wasn't sure yet who it was.
“Who are you looking for?” Iva asked, puzzled.
Iva disappeared in front of me as my vision went unfocused; I felt like I was standing in a thick fog. I was engulfed in blackness. All I could hear echoing around me was my name. The returning terror filled me.
"Aimee." The man’s voice was calling. I could feel the hair on my arms stand on edge.
The fog around me cleared up, as well as the blackness. I was standing in a forest. It was so beautiful, so green and lush. A stream was near; I could hear it. The sun was setting and the colors of the sky where amazing, orange and pink mixed with red. I was so caught up in the forest I almost overlooked a tree closest to me, it wasn’t the tree that caught my eye, but who was standing by it. I saw him, Derek, in his khakis and white polo shirt. He was smiling coolly at me. I had almost forgotten what his face looked like.
"Derek?" I asked, unsure; fear was written all over my face.
His movement was fast. He stood in front of me; his green eyes deep like the forest. I heard another sound. Footsteps. His father emerged. His dad had the same sharp features as Derek, but something about him always scared me. His dad, Nathan, stood there and just smiled at me. His smile was sinister.
"Is this a dream?" I asked, perplexed.
“No, it's not." When Nathan spoke his voice was cold.
I felt fear growing deeper within me.
“What is going on?" I asked, backing away from them.
"Aimee, we aren't going to hurt you," Derek said.
"I don't believe you. What do you want, then?"
“We want to know where you are." A tingling sensation washed over me, like he was searching my brain for the answer. I couldn't shut him out. I wanted to scream,
but nothing came out. "Hmmm, it appears you don't even know," Nathan said. His cold eyes narrowed on me.
Derek reached for me; he was inches away from me, and as he got closer, my heart was racing. I felt like I was being shaken, roughly.
My eyes became focused and it took me a moment to realize it was Iva shaking me. I was still sitting in the chair. How had I not fallen out? I quickly glanced around to see if anyone was watching me. No one even seemed to care. The court was still in its own world.
Iva was calling me from a distance; I could hear her, but all I could think about was the sudden realization that this wasn’t the first time Derek had contacted me. Back at the Enclave in Greece, when I’d thought I was dreaming. I touched my face. I was startled by my sudden epiphany.
"Aimee? Can you hear me?" Iva was asking, she sounded worried. Her expression was terrified.
"I ... I don't know what happened. I'm really scared … Iva, I don't know what's happening to me. Do you think I'm going crazy?" I asked in a whisper.
“Okay, calm down.…” Iva placed her hands on my shoulders, looking directly into my hazel eyes. “Can you tell me what you saw?" Iva asked in her same calm voice, able to collect herself so well.
I took a deep breath. “Think hard, Aimee.” I said to myself.
“I was in a forest, and Derek and his dad, Nathan, were there with me. Nathan was trying to read my thoughts; he wanted to know where I was. He couldn't find it, though, due to me not knowing where I was."
I put my face in my hands, trying to take away the images. With one fluid motion, Iva was standing and glancing down at me. I could see that warrior coming out.
"Come with me," she said, rapidly taking my hand.
The thought of the movie Terminator flashed into my mind. I was clearly not laughing at the situation, but I wanted to laugh at Iva saying, “Come with me if you want to live.”
"Where?" I asked.
"To the bottom layer. We need to talk to someone who might know what to do."
The bottom layer? I didn’t even have enough time to grasp what she was talking about. She was already pulling me to my feet.
Iva was leading me down that hallway I got lost in the first day I was here. The same earthy smell greeted us. Coming to a halt in front of the mysterious door, she pressed what I assume was a doorbell of some sort. Messy brown hair, green eyes, tan, Marcus opened the door, to my surprise, looking very hot. Literally, it was really hot down here, like we were in a boiler room. He had beads of sweat on his neck and his tank showed signs of perspiration. On someone else, I would find it dirty, but on Marcus, it looked really sexy. My smile grew, and I briefly forgot why I was actually here.
"Marcus, we need to see Teeker," Iva said, in a pushy voice. Marcus looked at me and smiled.
"What, no hello?” Marcus said.
“We don’t have time!” Iva said.
“There is always time for a hello!” he said, being stubborn, with his nice crooked smile. His teeth were so white against his tan.
“Fine. Hello!” Iva said, dangerously close to losing her collected self.
“That wasn’t so hard. And I can take you to him," Marcus said, pushing the door open wide so we could enter.
Inside this “bottom layer” wasn’t exactly savage, but it also wasn’t a place you would want to take your shoes off. The floor was black concrete, and there was dirt in some places; tree roots were creeping around the walls. It was one big open room, with caves lining the sides. The center had a large fire pit, something similar to a bonfire pit when camping, but ten times larger. They didn’t mess around with the small stuff.
The werewolves were lounging around, either reading or cooking, or playing fighting games with each other. We got a few glances here and there, looks of curiosity and, by the looks of it, we are the only females there. This was confirmed when they smiled at Iva and me.
“Wait here; I’m going to tell Teeker you’re here to see him," Marcus told us smoothly as he walked into a large cave. I was wondering if we were going to get attacked by the crowd of men still ogling us.
"Why are we here?" I whispered to Iva.
"To get answers. Teeker will know things that will help us."
“Who?” I asked. What kind of name was Teeker?
“An old werewolf,” Iva said.
Standing and waiting made me wish that Alec were with us; at least he could protect us. Although, Iva, I’m sure, would be a good guard, also.
Moments later, Marcus came out, smiling.
"He is ready for you," Marcus said in his thick Romanian accent, which was rich sounding in the cave.
We followed him in. It was like a council room, but not as formal, with boulders as seats. I noticed the man they called Teeker immediately; old was an understatement. He was ancient looking, like he could croak at any moment. He had a small cane and a long, silver beard. His eyes were worn and tired, his skin was leathery, like he had gotten way too much sun in his glory days. How long did werewolves live? Two hundred years?
"Hello, Teeker, thank you for seeing us on short notice," Iva said.
"Aww, Aimee. I’ve heard much about you. Even in our world, you were a great topic," Teeker said ignoring Iva. His smile was twisted; his voice was frog-like with a thick accent of some sort. I could barely make out what he was saying to us. His breath I could smell, and it was like something had died in his mouth.
I stood even closer to Iva, trying to breathe in her perfume.
"I know why you have come; I can sense the bond right away." Teeker said.
"The bond?" I asked, confused.
"Yes, the ones who were going to turn you. It’s a part of the process, once they erase your mind. It takes a great deal from that werewolf who initiates the process. That werewolf makes you connected to them, like part of a pack. I wouldn’t be surprised if you’ve talked with them."
"They can’t be the ones who captured me, though. I had been living with them for six years and they are human and they never turned me," I said.
“If they make contact with you and you think it’s a dream, but it feels so real at the same time, then it’s the bond, and yes, they took you," Teeker said breathlessly.
Trying to grasp that concept was hard for me. How could Derek and Norman be werewolves? I had never seen them change their forms or treat me badly. I’m not even turned! My heart felt like it was going to explode.
“What am I?” I asked.
“You are one of a kind. Genes of a vampire, but I sense something else, something stronger within you. I’m surprised the Rogues didn’t turn you, it’s the final stage after they erase your mind," he said, studying me.
"Which is?" I asked cautiously, almost afraid of the answer. The old man just looked at me with such sadness.
“Being bitten. Your eyes will continue to change color from hazel to honey brown along with your moods. It’s almost like when we change. Our eyes change first. It’s our sign, that’s when we can be most dangerous, the most powerful."
Eyes change color? Signs of turning? I glanced at Iva, who was so quiet and still, she was squinting and her eyebrows rose in the way she does so perfectly.
"What would happen if I decided to be awakened?" I asked.
“I’m not sure; most Yurnlings who are taken are turned and I wouldn’t know the effect it would have on you if you chose to be awakened. The Rogue who took you will try to retrieve you at all costs. As long as he lives he will always have that bond over you and he will be able to find you. I also presume he wants you as his bride."
Bride? I felt an overwhelming sickness sweep over me. If I hadn’t met Alec, my fate would have been ultimately to be a werewolf. I never would have known my true identity.
"Why would he want me now? He didn’t change me for all those years," I blurted out.
“That is a mystery; only he would know the reason. If you awaken I can sense you will be very strong and powerful, I’m guessing the same g
oes if you turn Rogue. But, then again, I can sense another power in you, if the rumors are true."
Rumors? I was the last one to find things out. I really didn’t like it, either.
This old man was rambling on and I didn’t know what he was talking about. Glancing over at Iva for support, I almost forgot that Marcus was in the cave with us still. He was so quiet. He watched the old man with such respect.
"Thank you for all the information, Teeker." Iva was turning to leave until the old man touched me. A wave passed through me at his touch.
His eyes became lit with something unseen.
"You have a gift. It will be quite useful once you learn how to use it," he said as he released my arm.
I wanted to ask, but Teeker had already begun walking back to his room. I wondered if Marcus would help him. But Teeker was faster than I thought was possible; he was already almost there.
My mind began to focus on “the gift” Teeker mentioned and what would happen to me. I looked at Iva. She was curious, too. Her eyes watched me. Marcus followed behind our exit.
"Marcus," Iva said, apparently not trusting him like Teeker.
"Thank you for helping us … well, me." I said.
"You’re welcome. Anytime. Too bad you aren’t turned, we could have been...." He let the end of that sentence trail off. I smiled. I was dumbfounded by everything I just heard.
It was bad enough Derek was a murderer who had killed my close friend. But, to find out my family were really vampires and I’m some weird Yurnling thing and then to come to the realization that Derek was a werewolf, and Elizabeth, Derek’s mother, was a werewolf was just crazy. I couldn’t believe that she had lied to me. Six years. My mind was boiling with anger and confusion. Everything had become so twisted.
Making our way to the exit of this werewolf lair I began to think. Would my life ever get easier? The answer was, probably not.
“Are you okay?" Iva asked once we reached the main court area.
I thought about it for a moment. The thoughts of me not being safe at all and death most likely happening if I stayed here sent terror through my body. What about that little girl I watched today or any of those children, for that matter? If Derek Sladen found me, what would become of any of us?
"That look is dangerous; what are you thinking?" Iva asked.
"I’m putting you all at risk by me being here. I know who took me and he’s invading my head. I just realized the man I love is a werewolf and his whole family were wolves. They didn’t seem Rogue. They are wealthy and his mother Elizabeth is sweet and they lived in Florida. It’s all so unnatural.”
"Elizabeth was most likely a Yurnling also at one point. The males have to take female Yurnlings to breed with, because they don’t bear baby girls, just boys. And some they just take to expand their population. Maybe Derek’s family was more like leaders of their kind?" Iva said.
“So, werewolf Rogues take girl Yurnlings to breed with because they can only have boys?” I asked.
“Yes, it’s why they depend on us, the Yurnlings, so much.”
“What happens if they marry an already awakened vampire?” I asked.
“I don’t think there has ever been a case like that, so I wouldn’t know.”
Derek was still present in my thoughts and the image of Krissy’s murder had not been easy, either.
“Derek killed my friend. That’s why I left; I witnessed it,” I said quietly. I needed to tell her; it was consuming me.
Iva stopped walking; her eyes were filled with compassion.
“I know,” was all she said.
How did she know? I looked at her, puzzled.
“Alec saw it also,” Iva said quietly.
Of course, that’s why he was on the dock. Something else that Teeker said piqued an interest in me.
The thought of having powers intrigued me, probably a little more than it should have. I wondered what my power was that the old man spoke of. And, better yet, how could I obtain it?
"The old man said something about me having a gift? Do you have one?"
"I don’t, but Alec does," Iva said.
"What is it?"
"Being able to compel anyone he wishes. He told me that once.” She paused, looking around the court. We stood close to the hall we just came from; being lazy, I was sitting on the floor.
“We should find your mother and tell her what we know." Iva was already helping me to my feet when she suggested that thought.